Tuesday, August 31, 2010


Today my weekly world was shattered as I played football on a Tuesday after work. This is most unusual and has never happened before. For my American readers I should clarify that yesterday was a bank holiday, so no work and no football.

In another departure from our regular reality, I didn't play terribly, most notably in goal. With surprising enthusiasm I threw myself about, making several moderately decent saves. Strange things happen on Tuesdays.

Finally, I said I wouldn't keep a count or update on every detail, but today means only 40 days to go.

Thursday, August 26, 2010

False Optimism

So the optimistic assumption that tonight would be the night I burst into action was lamentably false. It wasn't in the slightest, I watched football and idly read and wrote stuff on the computer. Fun, but not what I was going for!

~~~
Record 1
Diffraction record for Ba14Na21CaN6. The PXRD pattern is calculated, not measured: it uses a PBE-relaxed structure and λ = 1.5418 Å (Cu Kα).

Atomic structure:
Unit cell a=21.415 b=12.592 c=16.264 alpha=90.00 beta=129.52 gamma=90.00
Space group C2/m (No. 12)
Symmetry-distinct sites (fractional):
Ba1 0.008 0.213 0.227 (multiplicity 8)
Ba2 0.102 0.500 0.911 (multiplicity 4)
Ba3 0.117 0.287 0.094 (multiplicity 8)
Ba4 0.128 0.500 0.267 (multiplicity 4)
Ba5 0.192 0.000 0.768 (multiplicity 4)
Na1 0.000 0.000 0.000 (multiplicity 2)
Na2 0.000 0.180 0.500 (multiplicity 4)
Na3 0.054 0.500 0.450 (multiplicity 4)
Na4 0.131 0.000 0.468 (multiplicity 4)
Na5 0.148 0.351 0.720 (multiplicity 8)
Na6 0.176 0.000 0.022 (multiplicity 4)
Na7 0.194 0.000 0.289 (multiplicity 4)
Na8 0.202 0.269 0.556 (multiplicity 8)
Na9 0.250 0.250 0.000 (multiplicity 4)
Ca1 0.000 0.500 0.000 (multiplicity 2)
N1 0.007 0.356 0.118 (multiplicity 8)
N2 0.156 0.500 0.121 (multiplicity 4)

The 10 most intense peaks (2θ from 10° to 90°), in order of falling intensity:
| 2θ/deg | I/Imax |
| --- | --- |
| 26.72 | 100.0 |
| 28.76 | 58.9 |
| 28.36 | 41.5 |
| 26.32 | 39.2 |
| 27.44 | 37.3 |
| 24.14 | 26.6 |
| 25.78 | 24.7 |
| 24.92 | 23.3 |
| 21.82 | 22.1 |
| 26.99 | 21.3 |

Record 2
Diffraction record for Ba14Na17CaN6. The PXRD pattern is calculated, not measured: it uses a PBE-relaxed structure and λ = 1.5418 Å (Cu Kα).

Atomic structure:
Unit cell a=11.174 b=12.044 c=13.727 alpha=66.69 beta=67.61 gamma=78.80
Space group P-1 (No. 2)
Symmetry-distinct sites (fractional):
Ba1 0.024 0.211 0.381 (multiplicity 2)
Ba2 0.115 0.431 0.766 (multiplicity 2)
Ba3 0.131 0.221 0.054 (multiplicity 2)
Ba4 0.158 0.838 0.043 (multiplicity 2)
Ba5 0.224 0.691 0.803 (multiplicity 2)
Ba6 0.237 0.479 0.094 (multiplicity 2)
Ba7 0.470 0.382 0.822 (multiplicity 2)
Na1 0.087 0.086 0.687 (multiplicity 2)
Na2 0.131 0.599 0.395 (multiplicity 2)
Na3 0.263 0.904 0.291 (multiplicity 2)
Na4 0.331 0.311 0.444 (multiplicity 2)
Na5 0.352 0.972 0.492 (multiplicity 2)
Na6 0.364 0.107 0.746 (multiplicity 2)
Na7 0.405 0.645 0.484 (multiplicity 2)
Na8 0.460 0.184 0.189 (multiplicity 2)
Na9 0.500 0.000 0.000 (multiplicity 1)
Ca1 0.000 0.500 0.000 (multiplicity 1)
N1 0.012 0.358 0.193 (multiplicity 2)
N2 0.074 0.673 0.024 (multiplicity 2)
N3 0.237 0.441 0.907 (multiplicity 2)

The 10 most intense peaks (2θ from 10° to 90°), in order of falling intensity:
| 2θ/deg | I/Imax |
| --- | --- |
| 27.18 | 100.0 |
| 26.72 | 61.3 |
| 27.00 | 57.0 |
| 28.42 | 51.7 |
| 26.47 | 43.3 |
| 27.80 | 34.7 |
| 10.03 | 30.2 |
| 26.10 | 29.2 |
| 25.29 | 28.7 |
| 32.87 | 26.2 |

Record 3
Diffraction record for Ba14Na14CaN6. The PXRD pattern is calculated, not measured: it uses a PBE-relaxed structure and λ = 1.5418 Å (Cu Kα).

Atomic structure:
Unit cell a=17.869 b=17.869 c=17.869 alpha=90.00 beta=90.00 gamma=90.00
Space group Fm-3m (No. 225)
Symmetry-distinct sites (fractional):
Ba1 0.000 0.000 0.214 (multiplicity 24)
~~~
The calculated crystals stop here.

Today I have achieved little although did make a fair bit of progress at work. I also spent a significant amount of time writing responses to Mark's throwaway comment on Facebook which turned into a full-blown discussion about religion, athiesm and evolution. You all know how good I am at steering away from putting my tuppence worth into those discussions!

May inspire me to actually write something a little longer on here about it again at some point.

Wednesday, August 25, 2010

Myth of Achievements

As I said at the beginning of the week, I was expecting that I might get a little more done in the evenings. Mainly due to my broken computer not being a distraction. This has so far not transpired. I remain relentlessly optimistic that this will be the case tomorrow, however!

Most wedding details are now finalised with the hiring of a DJ at the weekend. It seems odd though that we got the booking at this venue due to a couple splitting up and cancelling - and by bizarre coincidence, have now re-hired the same DJ they were going to use. Almost feels like we are stealing another couple's wedding!

Next thing really is waiting for people to reply to invitations - assuming they get them at least! I expected some to have got them by now considering they were posted beginning of last week, but have heard nothing, nor got the ones sent to me to distribute at work - so who knows!

Tuesday, August 24, 2010

Quite Distracting

This evening I have so far spent most of my time enjoying the youtube app on my phone and obsessively watching QI. It's a fantastic way to spend any time, and I have managed to spend the majority of the evening on it.

I have also checked on my computer-to-be's status (current progress: pre-production), and exchanged further stupid song suggestions with Chrissi in our continual battle to find the most inappropriate possible song - or at least utterly out of synch with tradition.

Tomorrow I may do something more productive of the evening. Unlikely though!

Monday, August 23, 2010


Today is Monday and the first weekday as I come back from work without knowing quite what to do with myself due to there being no computer to instantly waste my evening on. In a way, this is a good thing.

However, as tonight was football, this didn't actually bother me that much! It was a good hour and a half once more running around with some occasional moments of slightly better play - playing on a weekly basis is starting to pay off, and I did score three goals as well (miraculously). This sounds not so good when I point out that due to a missing player it was 5v4, and the final score was something absurd like 24-17. However, I was happy with my small triumph.

The health benefits of playing were immediately undone when in a silly act of hunger on reaching the station, I then bought something to snack on which undid and more any small strides I may have taken towards greater fitness.

To change tack, I promised I wouldn't over-countdown, but this weekend marks both seven weeks and under 50 days until our wedding. Exciting!

Sunday, August 22, 2010

Productive Weekend?

So my prophetic post on Friday was indeed accurate, and the video card (which I am now fairly confident it is) has collapsed so it's not only an issue on booting, but an issue once booted if I try to do something radical like switch windows.

This weekend, therefore, I have been working on purchasing a new computer and after looking around a few generic sites and a few specialist ones, found one recommended that looked rather good - essentially they build it on-spec as you like it. The fantastic thing about this is that it's usually cheaper than the same spec from a normal supplier, and also it's not filled with masses of trial software and other bloatware that you don't want.

After playing a bit with some different options I did go with this and made the purchase earlier this evening. A very nice PC, and while it was a little more than I planned on paying, I have a really good machine that will last me a good while. Should arrive next weekend or weekend after, I'll see.

Besides that, the lack of a computer has forced me to have a more productive weekend. I've sorted out my room a little, done some overdue tidying and ironing, and generally felt more productive - even if this 'productivity' has mostly taken the shape of watching football on TV, etc. I'll see how this goes throughout the week too, may be a theme of me actually tidying away odd chores and going to bed on time! Time will tell.

Friday, August 20, 2010

Offline Course

Looks quite likely that I may be forced offline for the near future as it feels like my computer is grinding to a halt. The screen flickers and seems to have memory issues, mainly on booting. I'm getting the feeling that after six years of near-constant use it is finally on its last legs.

Once it's booted it seems to be okay, at least it's running. I may start to peer around at possible replacements this weekend, start to get an idea. Even if I can force it to work after two-three boots, it's still an inconvenience. I'm going to grab all data and similar off it tonight while it's still alive and responsive.

Thursday, August 19, 2010

Two Out Of Four

So this week, half of my post-work evenings have ended in the pub, with football taking up Monday evening and probably another trip to the pub due tomorrow, what with it being both Friday and payday.

As I don't drink it doesn't bother me, but I probably should be a little concerned that this is becoming a regular evening event. Mainly because going to the pub after work typically is representative of a bit of a frustrating day and blowing off steam afterwards (unless there is football on or similar). So twice or thrice in one week, and regularly for a few weeks now? Probably not a good sign.

In other news, thanks to Russell for his pro tips on how to avoid the family trip dilemma as posted on Tuesday. We may be taking your route. I say we, but I'm not going - either way, could be a sensible plan.

Tuesday, August 17, 2010

Most Complicated Plans

So as you may be aware my wedding is in California, and some of my family are kindly making the trip over to see me get married - very nice, I have to say.

However, what amuses me considerably is that without doubt the most complicated thing to organise of the entire event is precisely what my Dad is doing. Dad, Gill and Rachel are sensibly taking the opportunity, once in the US, to actually do something before heading back straight away. Perfectly good idea because it's a long way to go only to turn around and come straight back.

The plans have been creative, from the specific train they had to take from somewhere on the San Francisco Bay to Chicago (shelved), a trip back flying to New York (shelved) or Washington (shelved), or possibly hiring a car and driving up the coast to San Fransisco, Oregon and all the way to Seattle, flying back from there (latest plan to be shelved - too much driving!).

The current plan, which I this weekend suggested and am actually surprised this hasn't been previous considered - a more realistic driving trip around California, still seeing the Big Sur coastline and San Francisco, but then looping around through Sacremento, Northern California, possibly Yosemite and finishing with a couple of days in Vegas. Much more manageable, much less driving and probably a good deal more enjoyable too.

We'll see if this plan will also be shelved, but they are running out of time somewhat! I'm grateful my own part of the organisation is considerably more straightforward!

Monday, August 16, 2010

Monday Action

So this evening was football, which had an amusing start as for the umpteenth time the groundsman didn't bother to actually open the gates. There is a gap in the gates, however - enough that you can clamber up and over and in - although coming out could prove more problematic.

As we weren't going to wait or waste our game, we decided to go for it. A little later the groundsman did appear to open the gates. A good thing too, as after nearly ninety minutes of 4v4 (two players didn't make it), I think I'd have struggled to climb over anything! A good game, however - gradually getting better and hopefully somewhat fitter too. We'll see anyway, as a week off usually destroys the small gains I make!

Sunday, August 15, 2010

Weekend Trilogy

I'm thinking I must be on a slightly more positive view recently, as I seem to be blogging a little more. Usually I stop posting when I have little to add or what I do have to add, I don't really want to complain about it by virtue of adding it!

My thoughts, if not my time, are dominated by wedding plans at the moment. This is perhaps not unexpected, but it does still surprise me a little I suppose! Today marks eight weeks until the wedding, which seems both a long time away and very soon - very soon from the point that I think I still have a lot to get sorted. But equally a long way away in that it is going to be a while before we get there and that is only the start of it!

In other unrelated news, I've tried to start writing a bit more, and this has not been as productive as I hoped - but we'll see how this goes. I've theoretically been 'writing' this one idea for nearly a year, and in practice I have a handful of paragraphs and a few unconnected ideas. I'll see on that one.

Saturday, August 14, 2010

These records of crystals were left in the article by mistake =
Diffraction record for NaNi2PtO4. The X-ray powder pattern is calculated, not measured: it uses a crystal structure in Alexandria, relaxed with GGA+U and λ = 1.5418 Å (Cu Kα).
Kinematic intensities with the Lorentz-polarization factor, no thermal factor.

Structure:
```
data_NaNi2PtO4
_chemical_formula_sum 'Na2 Ni4 Pt2 O8'
_cell_length_a 5.163
_cell_length_b 5.163
_cell_length_c 6.951
_cell_angle_alpha 90.00
_cell_angle_beta 90.00
_cell_angle_gamma 90.00
_space_group_name_H-M_alt 'I -4 2 m'
_space_group_IT_number 121
_space_group_name_Hall 'I -4 2'
loop_
_atom_site_label
_atom_site_type_symbol
_atom_site_fract_x
_atom_site_fract_y
_atom_site_fract_z
_atom_site_occupancy
Na1 Na 0.000 0.000 0.000 1
Ni1 Ni 0.000 0.500 0.250 1
Pt1 Pt 0.000 0.000 0.500 1
O1 O 0.185 0.185 0.272 1
```

Main lines, low angle first (2θ = 10–80°):
2θ/deg	d (Å)	I/Imax	h k l
21.44	4.145	92	1 0 1
34.75	2.581	43	2 0 0
35.67	2.517	100	1 1 2
41.20	2.191	34	2 1 1
49.97	1.825	23	2 2 0
56.25	1.635	15	2 1 3
62.89	1.478	44	3 1 2
64.66	1.441	15	2 0 4

----------

Structure and calculated powder diffraction line list of Cs2ZrPS6 (DFT lattice parameters and positions (GGA-PBE); Cu Kα).

Top 8 peaks for 10 to 80 degrees two-theta, by intensity:
2.878 Å, 2θ 31.07, rel. 100
3.783 Å, 2θ 23.52, rel. 72
4.437 Å, 2θ 20.01, rel. 71
2.218 Å, 2θ 40.67, rel. 37
1.914 Å, 2θ 47.51, rel. 30
1.891 Å, 2θ 48.11, rel. 26
2.739 Å, 2θ 32.70, rel. 21
2.291 Å, 2θ 39.33, rel. 18

Atomic structure:
a = 7.565 Å, b = 7.565 Å, c = 6.030 Å
α = 90.00°, β = 90.00°, γ = 120.00°
Fractional positions:
Cs (0.333, 0.667, 0.239)
Cs (0.667, 0.333, 0.761)
Zr (0.000, 0.000, 0.500)
P (0.000, 0.000, 0.000)
S (0.143, 0.287, 0.788)
S (0.143, 0.857, 0.788)
S (0.287, 0.143, 0.212)
S (0.713, 0.857, 0.788)
S (0.857, 0.143, 0.212)
S (0.857, 0.713, 0.212)


Structure and calculated powder diffraction line list of Y3Mg7Ir4 (DFT lattice parameters and positions (GGA-PBE); Cu Kα).

Top 8 peaks for 10 to 80 degrees two-theta, by intensity:
4.315 Å, 2θ 20.58, rel. 100
2.541 Å, 2θ 35.32, rel. 79
3.403 Å, 2θ 26.19, rel. 66
2.209 Å, 2θ 40.85, rel. 66
2.089 Å, 2θ 43.32, rel. 58
2.668 Å, 2θ 33.59, rel. 56
3.271 Å, 2θ 27.26, rel. 37
3.289 Å, 2θ 27.11, rel. 34

Atomic structure:
a = 8.287 Å, b = 8.287 Å, c = 10.460 Å
α = 123.16°, β = 123.16°, γ = 29.20°
Fractional positions:
Y (0.000, 0.000, 0.000)
Y (0.299, 0.299, 0.279)
Y (0.701, 0.701, 0.721)
Mg (0.000, 0.000, 0.500)
Mg (0.171, 0.171, 0.430)
Mg (0.321, 0.321, 0.989)
Mg (0.488, 0.488, 0.712)
Mg (0.512, 0.512, 0.288)
Mg (0.679, 0.679, 0.011)
Mg (0.829, 0.829, 0.570)
Ir (0.110, 0.110, 0.809)
Ir (0.337, 0.337, 0.745)
Ir (0.663, 0.663, 0.255)
Ir (0.890, 0.890, 0.191)


Structure and calculated powder diffraction line list of PaRuO4 (DFT lattice parameters and positions (GGA-PBE); Cu Kα).

Top 8 peaks for 10 to 80 degrees two-theta, by intensity:
3.566 Å, 2θ 24.97, rel. 100
2.682 Å, 2θ 33.41, rel. 61
2.631 Å, 2θ 34.07, rel. 20
1.840 Å, 2θ 49.54, rel. 17
1.783 Å, 2θ 51.23, rel. 17

It's Back

So the football season kicks off again today, as we approach the final whistle in the majority of games at the moment. It's exciting stuff, possibly, although I am getting less and less interested. While I'll watch the odd game and obviously read about them, I'm not really enthused as I used to be. Too predictable, too money-dominated and too mediocre.

In countdown news, shockingly a mere 57 days to go.

Friday, August 13, 2010

Friday 13th!

Weekend approaches once more, and I have again very little planned for this weekend - always a sign of success. Among exciting tasks rearing their ugly heads are ironing and ... actually, mainly just ironing!

Another random task this weekend is to help Dad get to grips with his new phone. Having multiple buttons, this is obviously confusing. Unwilling to just do what you do to learn something new - i.e. press buttons and see what happens - he is instead expecting me to tell him how to do it. This is so far taking place by me pressing buttons and seeing what happens, then telling him what happened!

I'd also like to take the opportunity to thank my readers for their response to yesterday's blog, delighted that so many of you also experienced unpleasant public urination sightings. Most enthusiastic response I've had in months.

Thursday, August 12, 2010

I Love Where I Live ...

This evening on the way back from poker, I was reminded as to why Woking is such a wonderful place to live when I encountered (at 9:45 at night, no later) a drunk guy urinating on a bus stop. With little subtelty about it either.

At least, I presume he was drunk. I didn't stop to check. I really, really hope he was, because if he was just lazy that's just rather tragic and pathetic! Oh, and he got off at my stop too.


Wednesday, August 11, 2010

According to Plan

So I surprisingly didn't blog either Monday or Tuesday, despite having ample time. According to my approach, this surely means I had two constructive days?

Well, this is partially true. Among things I have organised is tickets to the US (mostly - I still need to send my travel credit coupons from May), getting a phone for Dad (a long overdue task which is technically a hangover from his birthday, i.e. May) and finalising my address-chasing quests.

In case you're wondering at the odd timing of this blog, I have this afternoon off - completing my time off in lieu allocation from July. Two and a half day week is good, I heartily recommend it!

Sunday, August 08, 2010

Extended Weekend

In return for the many hours which I sacrificed in blood, sweat and tears for work over July, I have in return been granted two and a half days of time off in lieu. These are being taken this coming Monday, Tuesday and a half-day of Wednesday afternoon. According to the previously noted laws of blogging, as I am planning to do nothing I will therefore be blogging a lot.

My day yesterday was of moderate success, the main triumphs being a haircut and not much else. Today I have sorted out some more wedding details to help finalise what will be going out with the invitations. The other achievement was filling a charity donation bag with lots of abandoned clothes from the back of my wardrobe, to attempt to clean that out a little.

We're now only nine weeks away from the wedding (in fact, as I write this it is pretty much exactly nine weeks to the time when the reception will be hosted). So far it's difficult. Not in terms of doing what we want, or finding places, or the more traditional wedding worries. Our main issue is continual difficulties in getting what we want, even on simple subjects.

Perhaps I'm being too selfish on our behalf. I don't know. But I feel that when it's a wedding, it should be about the couple and what they want. If not, then what's the point?

Monday, August 02, 2010

Blogging Paradox

I've remarked before of the paradox I typically have when blogging. When I have nothing to say, I have lots of time to say it in. When I'm busier, then I never find the time to talk about all the many things I may be doing!

Tonight was football, which was pleasant. Last week I was busy with work which involved a lot of time and a couple of evenings of dedication. Not much more on that though, because talking about work is rather boring usually.

However, it's that or become one of those insufferable people who, just because I've gotten engaged and therefore happen to be planning a wedding, feel the need to share every detail about it with everyone. Fortunately, at work other people have appointed themselves town criers on my behalf, so I don't actually need to tell everyone as they will do it for me.